• Given:
/*
This record from OMol25 describes a cluster of 15 separate species, C47H109N15O26 in total in a non-equilibrium geometry. The level of theory is ωB97M-V/def2-TZVPD.

Structure (XYZ):
```
197
Properties=species:S:1:pos:R:3
C 1.59 -0.94 6.98
N 0.75 0.11 6.36
O 0.64 1.13 7.05
O 0.20 -0.10 5.30
H 0.83 -1.60 7.42
H 2.22 -0.43 7.64
H 2.04 -1.48 6.13
C 3.34 1.26 -1.36
N 4.08 0.51 -0.27
O 4.40 -0.66 -0.46
O 4.30 1.09 0.78
H 3.37 2.35 -0.98
H 2.33 0.91 -1.26
H 3.73 1.13 -2.34
C -4.35 -5.44 0.48
N -4.70 -4.13 1.10
O -4.57 -3.97 2.30
O -5.07 -3.28 0.30
H -5.03 -5.51 -0.36
H -4.56 -6.24 1.25
H -3.27 -5.52 0.34
C -2.54 2.93 5.08
N -3.41 2.84 3.91
O -4.59 2.81 3.99
O -2.87 3.03 2.85
H -2.47 4.01 5.20
H -1.60 2.55 4.74
H -2.93 2.32 5.89
C 4.33 3.52 6.78
N 3.96 2.13 7.24
O 4.20 1.21 6.47
O 3.35 2.07 8.27
H 5.28 3.78 7.27
H 3.52 4.12 7.09
H 4.34 3.53 5.71
C -5.35 3.02 0.71
N -4.09 3.75 0.43
O -3.15 3.10 0.04
O -4.06 4.95 0.72
H -5.88 3.56 1.52
H -5.09 2.00 1.02
H -5.98 2.99 -0.19
C -4.74 -1.37 3.98
N -3.96 -0.61 5.04
O -3.12 0.19 4.68
O -4.21 -0.88 6.21
H -4.03 -2.16 3.66
H -5.02 -0.73 3.14
H -5.64 -1.78 4.41
C 2.84 -1.89 -5.97
N 2.44 -1.20 -4.74
O 3.31 -0.79 -3.94
O 1.23 -1.20 -4.54
H 2.57 -2.94 -5.88
H 3.93 -1.83 -6.08
H 2.37 -1.40 -6.82
C 3.94 -1.22 2.89
N 3.26 -2.35 2.27
O 2.12 -2.11 1.89
O 3.83 -3.34 2.05
H 4.11 -0.57 2.03
H 4.82 -1.71 3.29
H 3.29 -0.63 3.51
C 4.08 -3.87 -1.33
N 3.27 -4.69 -2.18
O 3.81 -5.04 -3.24
O 2.14 -4.94 -1.88
H 3.73 -3.94 -0.34
H 4.03 -2.92 -1.77
H 5.12 -4.17 -1.41
C -0.34 -3.08 3.19
N -1.45 -4.15 3.16
O -1.44 -4.98 2.31
O -2.19 -4.13 4.14
H 0.66 -3.55 2.99
H -0.50 -2.57 4.11
H -0.49 -2.41 2.32
C -0.55 1.34 -0.53
C -0.57 0.24 0.52
C -1.96 0.21 1.20
C -2.94 -0.47 0.19
C -2.43 -1.91 -0.18
C -1.07 -1.80 -0.87
N -0.18 -1.05 0.05
O 1.16 -0.99 -0.57
C -0.52 -3.26 -0.97
C -1.17 -1.25 -2.32
C 0.33 0.62 1.74
H 0.27 1.23 -1.22
H -0.50 2.38 0.00
H -1.48 1.37 -1.07
H -1.98 -0.43 2.10
H -2.30 1.28 1.46
H -2.90 0.19 -0.66
H -3.97 -0.41 0.46
H -3.10 -2.36 -0.92
H -2.24 -2.49 0.77
H -0.64 -3.83 -0.05
H -0.75 -3.71 -1.90
H 0.57 -3.20 -0.98
H -0.15 -1.03 -2.75
H -1.81 -1.95 -2.94
H -1.70 -0.27 -2.35
H 0.46 -0.32 2.29
H -0.17 1.37 2.35
H 1.34 0.97 1.39
H 1.62 -1.29 0.19
C -0.06 2.83 -4.25
C -0.12 4.31 -3.82
C 0.89 5.12 -4.57
C 0.64 6.62 -4.70
C -0.82 6.89 -5.00
C -1.78 6.17 -4.16
N -1.48 4.77 -4.21
O -2.42 4.07 -3.42
C -1.73 6.76 -2.68
C -3.18 6.42 -4.75
C 0.21 4.35 -2.32
H -0.52 2.16 -3.52
H -0.71 2.66 -5.19
H 0.95 2.48 -4.43
H 1.85 5.10 -4.04
H 1.03 4.59 -5.51
H 0.99 7.07 -3.79
H 1.30 7.08 -5.43
H -1.00 6.52 -6.04
H -1.03 7.94 -4.85
H -0.78 7.04 -2.32
H -2.25 6.13 -1.95
H -2.29 7.67 -2.71
H -3.86 6.05 -4.03
H -3.15 5.86 -5.68
H -3.32 7.53 -4.79
H 1.29 4.08 -2.26
H 0.20 5.37 -1.93
H -0.43 3.72 -1.71
H -2.21 4.34 -2.48
C -1.55 -10.77 -1.59
C -1.09 -9.33 -1.80
C 0.37 -9.34 -2.20
C 0.83 -7.97 -2.79
C -0.11 -7.65 -3.98
C -1.56 -7.66 -3.63
N -1.96 -8.87 -2.94
O -3.26 -8.73 -2.45
C -1.92 -6.35 -2.80
C -2.38 -7.49 -4.94
C -1.30 -8.63 -0.46
H -1.58 -11.35 -2.49
H -2.61 -10.82 -1.16
H -0.84 -11.27 -0.85
H 1.01 -9.57 -1.39
H 0.60 -10.14 -2.94
H 1.89 -8.00 -3.12
H 0.82 -7.28 -1.91
H 0.15 -8.35 -4.83
H 0.04 -6.69 -4.45
H -1.34 -6.34 -1.85
H -1.54 -5.47 -3.34
H -2.97 -6.25 -2.49
H -3.38 -7.80 -4.83
H -2.37 -6.37 -5.18
H -2.00 -8.04 -5.81
H -2.36 -8.46 -0.15
H -0.85 -7.63 -0.44
H -0.74 -9.21 0.30
H -3.77 -9.40 -2.82
C 3.30 5.79 -0.87
C 3.29 5.56 0.60
C 3.41 7.03 1.20
C 3.18 7.06 2.72
C 1.92 6.36 3.11
C 1.65 4.99 2.44
N 2.04 5.09 0.99
O 1.80 3.80 0.44
C 2.41 4.00 3.15
C 0.15 4.63 2.49
C 4.51 4.78 1.06
H 2.37 6.16 -1.26
H 3.49 4.89 -1.50
H 4.10 6.49 -1.30
H 4.36 7.41 0.99
H 2.72 7.67 0.63
H 3.11 8.04 3.16
H 4.06 6.63 3.19
H 1.04 6.96 2.84
H 1.92 6.25 4.19
H 2.22 3.93 4.22
H 2.30 3.03 2.67
H 3.53 4.17 2.98
H -0.48 5.17 1.71
H -0.01 3.55 2.36
H -0.14 4.90 3.49
H 4.88 5.02 2.04
H 5.40 4.92 0.40
H 4.41 3.71 1.06
H 0.99 3.92 -0.09
```

Values from the calculation:
Kohn-Sham gap: 8.21 eV

---
*/

• Request:
Now search the entries further above for the word "non-equilibrium" and give back each line that has it.

• Here it is:
This record from OMol25 describes a cluster of 15 separate species, C47H109N15O26 in total in a non-equilibrium geometry. The level of theory is ωB97M-V/def2-TZVPD.